**What to do:**
Could you search the lines further down for the word "vectors" and set down each line that has it?

**Input:**
'''
Record 1
Compound: Pa3Si4Ru2
Source: Alexandria via LeMat-Bulk
Functional: PBE
Structure: relaxed

VASP energy (eV per cell): -75.1
Fermi-level density of states (states/eV/atom): 0.71
Formation energy without anion corrections (eV per atom): -0.7026

abc: 4.1663 5.7211 7.9705
angles: 105.11 90.00 111.35
Closest atoms and distances in Å follow each position.
Sites, in units of the cell vectors:
Pa1 0.6748 0.3496 0.6572  4 Ru 2.89-3.20, 8 Si 3.05-3.13
Pa2 0.0000 0.0000 0.0000  8 Si 2.93-3.11, 4 Ru 3.04
Pa3 0.3252 0.6504 0.3428  4 Ru 2.89-3.20, 8 Si 3.05-3.13
Si1 0.7226 0.4452 0.0553  2 Si 2.40, 1 Ru 2.43
Si2 0.2774 0.5548 0.9447  2 Si 2.40, 1 Ru 2.43
Si3 0.9595 0.9190 0.6207  1 Si 2.32, 2 Ru 2.41
Si4 0.0405 0.0810 0.3793  1 Si 2.32, 2 Ru 2.41
Ru1 0.6093 0.2186 0.2802  3 Si 2.41-2.43
Ru2 0.3907 0.7814 0.7198  3 Si 2.41-2.43

Record 2
Compound: Pa2Si2Ru
Source: Alexandria via LeMat-Bulk
Functional: PBE
Structure: relaxed

VASP energy (eV per cell): -83.1
Fermi-level density of states (states/eV/atom): 0.97
Polymorph energy (0 for the lowest one) (kJ/mol of atoms): 17.7
Formation energy without anion corrections (eV per atom): -0.4829

abc: 4.2151 7.0259 7.5019
angles: 90.00 106.32 90.00
Closest atoms and distances in Å follow each position.
Sites, in units of the cell vectors:
Pa1 0.9756 0.7198 0.9512  6 Si 2.82-3.11, 2 Ru 2.84
Pa2 0.7836 0.3867 0.5672  5 Si 2.80-2.96, 1 Ru 3.12
Pa3 0.2164 0.8867 0.4328  5 Si 2.80-2.96, 1 Ru 3.12
Pa4 0.0244 0.2198 0.0488  6 Si 2.82-3.11, 2 Ru 2.84
Si1 0.4258 0.4402 0.8515  2 Ru 2.51-2.57
Si2 0.8366 0.0026 0.6732  2 Ru 2.43
Si3 0.1634 0.5026 0.3268  2 Ru 2.43
Si4 0.5742 0.9402 0.1485  2 Ru 2.51-2.57
Ru1 0.4101 0.0850 0.8202  4 Si 2.43-2.57
Ru2 0.5899 0.5850 0.1798  4 Si 2.43-2.57

Record 3
Compound: PaSiRu2
Source: Alexandria via LeMat-Bulk
Functional: PBE
Structure: relaxed

VASP energy (eV per cell): -34.6
Fermi-level density of states (states/eV/atom): 0.96
Formation energy without anion corrections (eV per atom): -0.2713

abc: 3.8069 5.7448 4.3680
angles: 131.12 90.12 90.00
Closest atoms and distances in Å follow each position.
Sites, in units of the cell vectors:
Pa1 0.5000 0.5000 0.0000  4 Ru 2.67-2.69, 2 Si 2.87
Si1 0.5000 0.0000 0.0000  4 Ru 2.37
Ru1 0.9982 0.7859 0.5718  2 Si 2.37
Ru2 0.0018 0.2141 0.4282  2 Si 2.37

Record 4
Compound: Pa3Si4Ru2
Source: Alexandria via LeMat-Bulk
Functional: PBE
Structure: relaxed

VASP energy (eV per cell): -75.0
Fermi-level density of states (states/eV/atom): 0.87
Formation energy without anion corrections (eV per atom): -0.7006

abc: 4.1385 5.7205 8.0770
angles: 108.35 90.00 111.21
Closest atoms and distances in Å follow each position.
Sites, in units of the cell vectors:
Pa1 0.6206 0.2413 0.6861  7 Si 2.90-3.08, 3 Ru 2.95-3.04, 1 Pa 3.23
Pa2 0.0000 0.0000 0.0000  8 Si 2.98-3.22
Pa3 0.3794 0.7587 0.3139  7 Si 2.90-3.08, 3 Ru 2.95-3.04, 1 Pa 3.23
Si1 0.7193 0.4386 0.0678  1 Ru 2.42, 2 Si 2.53
Si2 0.2807 0.5614 0.9322  1 Ru 2.42, 2 Si 2.53
Si3 0.9085 0.8171 0.6078  3 Ru 2.41-2.50
Si4 0.0915 0.1829 0.3922  3 Ru 2.41-2.50
Ru1 0.6941 0.3883 0.3540  4 Si 2.41-2.50
Ru2 0.3059 0.6117 0.6460  4 Si 2.41-2.50

Record 5
Compound: Pa2Si2SnRu5
Source: Alexandria via LeMat-Bulk
Functional: PBE
Structure: relaxed

VASP energy (eV per cell): -173.0
Fermi-level density of states (states/eV/atom): 0.61
Formation energy without anion corrections (eV per atom): -0.6281

abc: 3.5072 9.8350 9.8350
angles: 90.00 90.00 90.00
Closest atoms and distances in Å follow each position.
Sites, in units of the cell vectors:
Pa1 0.0000 0.6776 0.1776  3 Si 2.81-2.98, 6 Ru 3.02-3.03
Pa2 0.0000 0.3224 0.8224  3 Si 2.81-2.98, 6 Ru 3.02-3.03
Pa3 0.0000 0.1776 0.3224  3 Si 2.81-2.98, 6 Ru 3.02-3.03
Pa4 0.0000 0.8224 0.6776  3 Si 2.81-2.98, 6 Ru 3.02-3.03
Si1 0.0000 0.1202 0.6202  6 Ru 2.42-2.43
Si2 0.0000 0.8798 0.3798  6 Ru 2.42-2.43
Si3 0.0000 0.6202 0.8798  6 Ru 2.42-2.43
Si4 0.0000 0.3798 0.1202  6 Ru 2.42-2.43
Sn1 0.0000 0.0000 0.0000  8 Ru 2.84
Sn2 0.0000 0.5000 0.5000  8 Ru 2.84
'''

**Written answer:**
Sites, in units of the cell vectors:
Sites, in units of the cell vectors:
Sites, in units of the cell vectors:
Sites, in units of the cell vectors:
Sites, in units of the cell vectors: